┌──
1.
C2H11NO3 | the ωB97M-V functional and the def2-TZVPD basis

The geometry in XYZ format:
```
17
Properties=species:S:1:pos:R:3
C 0.744 -2.207 0.774
C -0.357 -0.159 0.777
N 0.023 -1.144 0.114
H -0.001 -2.919 1.102
H 1.429 -1.954 1.583
H 1.292 -2.786 0.027
H -0.951 0.648 0.348
H -0.119 0.030 1.832
H -0.901 -1.899 -2.749
H 0.304 -0.943 -2.639
O -0.280 -1.382 -3.266
H 3.279 1.103 -1.794
H 2.068 0.861 -2.607
O 2.823 0.367 -2.228
H -3.266 3.522 3.045
H -2.308 4.418 3.823
O -3.026 3.787 3.945
```

Output
Relative energy (zero: lowest compared OMol25 entry of this formula, charge and spin): 1.395 eV
Charge: 0
Structure (SMILES): C=NC.O.O.O
LUMO energy: 0.5 eV
Calculated total energy: -363.22312 Ha
HOMO energy: -9.973 eV
HOMO-LUMO gap: 10.46 eV

Results of the Mulliken charge analysis, in e, for atoms 1 through 8: C -0.875; C -0.342; N -0.204; H 0.339; H 0.339; H 0.266; H 0.256; H 0.231

2.
C30H53Cl6FO7 | the ωB97M-V functional and the def2-TZVPD basis

The geometry in XYZ format:
```
97
Properties=species:S:1:pos:R:3
F 30.608 9.200 13.788
C 29.834 10.309 13.886
C 28.991 10.423 14.965
C 28.172 11.534 15.058
C 28.213 12.514 14.081
C 29.034 12.361 12.969
C 29.852 11.231 12.875
H 29.055 9.651 15.724
H 27.558 11.629 15.944
H 27.550 13.367 14.154
H 29.055 13.092 12.169
H 30.524 11.074 12.041
C 30.417 12.393 17.656
Cl 30.501 13.222 19.193
Cl 31.276 10.865 17.679
H 29.381 12.188 17.407
H 30.845 13.022 16.884
C 26.212 8.506 15.988
Cl 26.291 7.816 14.369
Cl 24.796 9.534 16.266
H 26.225 7.714 16.727
H 27.084 9.129 16.143
C 32.446 14.475 12.175
Cl 32.501 12.888 11.389
Cl 34.008 15.288 12.118
H 31.718 15.055 11.618
H 32.100 14.368 13.196
C 33.687 9.021 15.087
C 33.949 8.225 16.342
O 33.807 7.030 16.376
C 34.474 9.009 17.528
H 33.196 9.966 15.302
H 33.122 8.420 14.380
H 34.673 9.211 14.647
H 35.468 9.385 17.275
H 34.548 8.356 18.394
H 33.810 9.845 17.747
C 28.084 10.766 20.226
C 27.093 10.776 19.118
O 27.456 10.815 17.964
C 25.635 10.643 19.504
H 29.079 10.957 19.823
H 28.088 9.796 20.725
H 27.846 11.543 20.954
H 24.972 11.078 18.764
H 25.437 11.075 20.481
H 25.441 9.563 19.506
C 22.597 12.799 16.575
C 23.871 13.059 17.343
O 23.871 13.317 18.519
C 25.160 13.001 16.554
H 22.720 11.888 15.987
H 22.421 13.642 15.903
H 21.751 12.714 17.251
H 25.571 14.005 16.462
H 25.001 12.569 15.571
H 25.844 12.351 17.102
C 26.112 10.535 12.232
C 25.033 11.521 12.610
O 25.277 12.678 12.862
C 23.623 10.995 12.658
H 26.716 10.982 11.446
H 25.634 9.624 11.870
H 26.702 10.287 13.110
H 22.943 11.758 13.021
H 23.580 10.102 13.291
H 23.333 10.658 11.658
C 33.981 8.024 9.193
C 32.888 8.874 9.809
O 31.976 9.313 9.147
C 32.958 9.134 11.286
H 33.622 7.661 8.231
H 34.263 7.201 9.847
H 34.852 8.653 8.999
H 33.955 9.027 11.717
H 32.324 8.402 11.801
H 32.579 10.121 11.546
C 28.795 8.336 11.020
C 28.501 7.153 10.142
O 27.825 7.253 9.146
C 29.081 5.818 10.555
H 29.847 8.351 11.312
H 28.157 8.325 11.905
H 28.585 9.248 10.460
H 28.324 5.047 10.413
H 29.427 5.805 11.588
H 29.919 5.577 9.898
C 27.027 16.665 10.447
C 27.981 15.698 11.101
O 28.346 14.686 10.540
C 28.527 16.066 12.462
H 26.092 16.671 11.011
H 26.877 16.379 9.410
H 27.417 17.687 10.466
H 27.819 16.642 13.058
H 29.409 16.684 12.270
H 28.818 15.178 13.017
```

Output
Relative energy (zero: lowest compared OMol25 entry of this formula, charge and spin): 0.000 eV
Charge: 0
Structure (SMILES): Fc1ccccc1.CC(C)=O.CC(C)=O.CC(C)=O.CC(C)=O.CC(C)=O.CC(C)=O.CC(C)=O.ClCCl.ClCCl.ClCCl
LUMO energy: 0.2 eV
Calculated total energy: -4562.58723 Ha
HOMO energy: -9.267 eV
HOMO-LUMO gap: 9.49 eV

Results of the Mulliken charge analysis, in e, for atoms 1 through 8: F -0.490; C -0.331; C -0.516; C 1.072; C -0.144; C -0.314; C -0.721; H 0.950

3.
C36H28I2N7O3PSTi | the ωB97M-V functional and the def2-TZVPD basis

The geometry in XYZ format:
```
79
Properties=species:S:1:pos:R:3
Ti 0.663 0.252 -0.525
N 0.449 -3.143 0.544
P 0.204 -1.723 1.542
C -1.468 -2.042 2.109
C -1.699 -2.934 3.150
C -2.929 -2.935 3.782
C -3.949 -2.072 3.378
└──
Your job: reproduce all of the entries further above with every line break kept.
1.
C2H11NO3 | the ωB97M-V functional and the def2-TZVPD basis

The geometry in XYZ format:
```
17
Properties=species:S:1:pos:R:3
C 0.744 -2.207 0.774
C -0.357 -0.159 0.777
N 0.023 -1.144 0.114
H -0.001 -2.919 1.102
H 1.429 -1.954 1.583
H 1.292 -2.786 0.027
H -0.951 0.648 0.348
H -0.119 0.030 1.832
H -0.901 -1.899 -2.749
H 0.304 -0.943 -2.639
O -0.280 -1.382 -3.266
H 3.279 1.103 -1.794
H 2.068 0.861 -2.607
O 2.823 0.367 -2.228
H -3.266 3.522 3.045
H -2.308 4.418 3.823
O -3.026 3.787 3.945
```

Output
Relative energy (zero: lowest compared OMol25 entry of this formula, charge and spin): 1.395 eV
Charge: 0
Structure (SMILES): C=NC.O.O.O
LUMO energy: 0.5 eV
Calculated total energy: -363.22312 Ha
HOMO energy: -9.973 eV
HOMO-LUMO gap: 10.46 eV

Results of the Mulliken charge analysis, in e, for atoms 1 through 8: C -0.875; C -0.342; N -0.204; H 0.339; H 0.339; H 0.266; H 0.256; H 0.231

2.
C30H53Cl6FO7 | the ωB97M-V functional and the def2-TZVPD basis

The geometry in XYZ format:
```
97
Properties=species:S:1:pos:R:3
F 30.608 9.200 13.788
C 29.834 10.309 13.886
C 28.991 10.423 14.965
C 28.172 11.534 15.058
C 28.213 12.514 14.081
C 29.034 12.361 12.969
C 29.852 11.231 12.875
H 29.055 9.651 15.724
H 27.558 11.629 15.944
H 27.550 13.367 14.154
H 29.055 13.092 12.169
H 30.524 11.074 12.041
C 30.417 12.393 17.656
Cl 30.501 13.222 19.193
Cl 31.276 10.865 17.679
H 29.381 12.188 17.407
H 30.845 13.022 16.884
C 26.212 8.506 15.988
Cl 26.291 7.816 14.369
Cl 24.796 9.534 16.266
H 26.225 7.714 16.727
H 27.084 9.129 16.143
C 32.446 14.475 12.175
Cl 32.501 12.888 11.389
Cl 34.008 15.288 12.118
H 31.718 15.055 11.618
H 32.100 14.368 13.196
C 33.687 9.021 15.087
C 33.949 8.225 16.342
O 33.807 7.030 16.376
C 34.474 9.009 17.528
H 33.196 9.966 15.302
H 33.122 8.420 14.380
H 34.673 9.211 14.647
H 35.468 9.385 17.275
H 34.548 8.356 18.394
H 33.810 9.845 17.747
C 28.084 10.766 20.226
C 27.093 10.776 19.118
O 27.456 10.815 17.964
C 25.635 10.643 19.504
H 29.079 10.957 19.823
H 28.088 9.796 20.725
H 27.846 11.543 20.954
H 24.972 11.078 18.764
H 25.437 11.075 20.481
H 25.441 9.563 19.506
C 22.597 12.799 16.575
C 23.871 13.059 17.343
O 23.871 13.317 18.519
C 25.160 13.001 16.554
H 22.720 11.888 15.987
H 22.421 13.642 15.903
H 21.751 12.714 17.251
H 25.571 14.005 16.462
H 25.001 12.569 15.571
H 25.844 12.351 17.102
C 26.112 10.535 12.232
C 25.033 11.521 12.610
O 25.277 12.678 12.862
C 23.623 10.995 12.658
H 26.716 10.982 11.446
H 25.634 9.624 11.870
H 26.702 10.287 13.110
H 22.943 11.758 13.021
H 23.580 10.102 13.291
H 23.333 10.658 11.658
C 33.981 8.024 9.193
C 32.888 8.874 9.809
O 31.976 9.313 9.147
C 32.958 9.134 11.286
H 33.622 7.661 8.231
H 34.263 7.201 9.847
H 34.852 8.653 8.999
H 33.955 9.027 11.717
H 32.324 8.402 11.801
H 32.579 10.121 11.546
C 28.795 8.336 11.020
C 28.501 7.153 10.142
O 27.825 7.253 9.146
C 29.081 5.818 10.555
H 29.847 8.351 11.312
H 28.157 8.325 11.905
H 28.585 9.248 10.460
H 28.324 5.047 10.413
H 29.427 5.805 11.588
H 29.919 5.577 9.898
C 27.027 16.665 10.447
C 27.981 15.698 11.101
O 28.346 14.686 10.540
C 28.527 16.066 12.462
H 26.092 16.671 11.011
H 26.877 16.379 9.410
H 27.417 17.687 10.466
H 27.819 16.642 13.058
H 29.409 16.684 12.270
H 28.818 15.178 13.017
```

Output
Relative energy (zero: lowest compared OMol25 entry of this formula, charge and spin): 0.000 eV
Charge: 0
Structure (SMILES): Fc1ccccc1.CC(C)=O.CC(C)=O.CC(C)=O.CC(C)=O.CC(C)=O.CC(C)=O.CC(C)=O.ClCCl.ClCCl.ClCCl
LUMO energy: 0.2 eV
Calculated total energy: -4562.58723 Ha
HOMO energy: -9.267 eV
HOMO-LUMO gap: 9.49 eV

Results of the Mulliken charge analysis, in e, for atoms 1 through 8: F -0.490; C -0.331; C -0.516; C 1.072; C -0.144; C -0.314; C -0.721; H 0.950

3.
C36H28I2N7O3PSTi | the ωB97M-V functional and the def2-TZVPD basis

The geometry in XYZ format:
```
79
Properties=species:S:1:pos:R:3
Ti 0.663 0.252 -0.525
N 0.449 -3.143 0.544
P 0.204 -1.723 1.542
C -1.468 -2.042 2.109
C -1.699 -2.934 3.150
C -2.929 -2.935 3.782
C -3.949 -2.072 3.378